1. Community Risk Reduction

Carbon Monoxide--what is it and what do I need to do about it?

Carbon Monoxide is a colorless, odorless gas that is produced from heaters, fireplaces, furnaces, and many types of appliances and cooking devices. It can also be produced from vehicles that are idling. Learn more about carbon monoxide Senate bill 183, also known as the "Carbon Monoxide Poisoning Prevention Act," requires that a carbon monoxide (CO) device be installed in all dwelling units intended for human occupancy.

Emergency exits in place of business--can I modify the exits to prevent theft?

You can install alarm devices or other equipment that can give a warning and provide a delayed exit. Contact the Community Risk Reduction Division at (310) 253-5925 for the acceptable installation requirements before modifying or changing any exit door.

Fire alarm system--do I have to do anything to maintain or service it?

Yes. Per the California Fire Code, Article 10, you are responsible for the system and you are required to keep the system operating properly at all times and under the control of a qualified person. You can find the standard for the testing, maintenance and record keeping in the National Fire Protection Association (NFPA) pamphlet Standard 72 available from NFPA (800) 344-3555.

Fire extinguishers--does the fire department service them?

No, but you may contact the Community Risk Reduction Division at (310) 253-5925 for the latest information on state-approved and Culver City-approved contractors.

Fire extinguishers--who services them?

Contact the Fire Prevention Division (310) 253-5925 for the latest information on contractors who are acceptable to the state and Culver City.

Fire sprinkler inspections--will the fire department show me how to do my own quarterly inspections?

Yes. Contact the Community Risk Reduction Division (310) 253-5925 to make an appointment.

Fire sprinkler system contractor--where can I find one?

The Community Risk Reduction Division has a list of registered contractors who install fire sprinklers. You can also go to the yellow pages for any licensed contractor registered as a C-16 Fire Protection Contractor. You can also contact the California Contractors State License Board for a complete list of licensed C-16 contractors.

Fire sprinklers and home remodel--do I have to put fire sprinklers in my house if I remodel?

Culver City Ord. # 97-014, Section 1003.2.9. An Automatic fire-extinguishing (sprinkler) system shall be installed in every new building in the City, including any new residential building, hereinafter constructed or moved into the City, regardless of area separation or type of construction.

Section 1003.2.9(1) EXCEPTION: New buildings less than 500 square feet may be exempted with the concurrence of the Fire Chief and the Building Official.

Section 1003.2.9(2) In existing commercial, industrial and multi-family residential occupancies, fire sprinklers shall be required in existing and new portions of the building for height increase, area increases of 50% or more, and any occupancy change that increases fire risk or hazard.

Section 1003.2.9(3) Existing single family dwellings shall be required to install a full automatic fire sprinkler system in existing and new portions of the building when a story is added, more than 75% of the existing roof structure is replaced, or floor area is increased by more than 75%.

Fire sprinklers and home remodel--do I have to put them in the garage?

If the garage is detached from the main building without any physical connection between the two buildings, then fire sprinklers are not required in the garage.

(Quantum chemistry results from another source follow)
********
41
Properties=species:S:1:pos:R:3:nbo_charge:R:1 method="wB97M-V/def2-TZVPD" spin_multiplicity=1 relative_energy_kcal_mol=0.0 total_charge=0 e_tot_ha=-2116.6016
O -0.55408 -0.42016 0.94607 -0.618
C 0.10857 0.53787 0.57897 0.634
N -0.41366 1.77592 0.38553 -0.435
N -1.72631 2.15418 0.67130 -0.453
C -2.86877 1.66178 0.07649 0.289
S -4.17049 2.67778 0.02062 -0.273
N -2.83595 0.41024 -0.38019 -0.622
C -4.01211 -0.28273 -0.86229 -0.050
C -3.58618 -1.36685 -1.85351 -0.403
C -2.84332 -2.51093 -1.16521 -0.406
C -3.68950 -3.10120 -0.04165 -0.396
C -4.04527 -2.02025 0.97429 -0.408
C -4.81262 -0.88860 0.29710 -0.411
C 1.54021 0.43743 0.27804 -0.312
S 2.50247 1.83333 -0.16758 0.388
C 3.94250 0.86544 -0.27925 -0.188
C 5.21640 1.30180 -0.61036 -0.207
C 6.23356 0.37021 -0.64518 -0.190
C 5.98917 -0.97332 -0.35566 -0.213
C 4.72554 -1.40766 -0.02659 -0.194
C 3.67978 -0.48342 0.01549 -0.043
C 2.30217 -0.69934 0.32971 -0.020
Cl 1.69980 -2.24378 0.71977 0.082
H 0.16991 2.49242 -0.03065 0.395
H -1.81743 3.11155 0.98734 0.415
H -2.09483 -0.18589 -0.01635 0.434
H -4.63098 0.46653 -1.36972 0.237
H -4.48366 -1.75999 -2.33468 0.206
H -2.95725 -0.92230 -2.62792 0.212
H -2.60884 -3.28234 -1.90207 0.210
H -1.89706 -2.15518 -0.75209 0.199
H -3.14146 -3.90757 0.44936 0.207
H -4.60660 -3.52367 -0.45997 0.191
H -4.65616 -2.44520 1.77318 0.210
H -3.13013 -1.63371 1.42747 0.205
H -5.75608 -1.27006 -0.09805 0.203
H -5.04406 -0.10059 1.01605 0.227
H 5.39756 2.34139 -0.83283 0.224
H 7.23345 0.68584 -0.90048 0.221
H 6.80572 -1.67796 -0.39132 0.221
H 4.52370 -2.44265 0.19987 0.232

***

41
Properties=species:S:1:pos:R:3:nbo_charge:R:1 method="wB97M-V/def2-TZVPD" spin_multiplicity=1 relative_energy_kcal_mol=7.6 total_charge=+1 e_tot_ha=-1589.7943
K -0.20097 0.82530 -0.17111 0.969
C 4.78325 0.35261 0.15924 -0.237
C 3.45812 0.07901 -0.13612 0.035
N 2.43861 0.74433 0.41264 -0.502
C 2.72892 1.70506 1.28559 0.046
C 4.02193 2.06137 1.65774 -0.106
C 5.07027 1.36457 1.06070 -0.136
C 4.26539 3.17782 2.58712 -0.183
C 3.55490 3.48020 3.67452 -0.183
C 2.47353 2.68672 4.28720 0.185
C 2.51692 1.29820 4.40864 -0.292
C 1.45293 0.68850 5.04953 0.079
N 0.42278 1.37874 5.53102 -0.438
C 0.47819 2.69389 5.37324 0.248
N 1.44522 3.38349 4.78316 -0.452
H 5.57423 -0.21291 -0.31294 0.237
H 3.20044 -0.70188 -0.84231 0.200
H 1.88526 2.22726 1.72717 0.193
H 6.09469 1.61237 1.30915 0.231
H 5.07215 3.84367 2.29909 0.228
H 3.75503 4.41163 4.19110 0.238
H 3.35433 0.72731 4.03526 0.233
H 1.41694 -0.38552 5.19395 0.207
H -0.35153 3.26701 5.77426 0.180
O -2.10719 2.62191 -0.00130 -0.782
C -2.25104 2.05386 1.12301 0.758
O -1.60839 1.10067 1.56606 -0.744
C -3.34168 2.70103 2.02720 -0.168
N -3.95380 3.78322 1.18797 -0.541
C -3.79376 5.08363 1.89842 -0.222
C -2.52550 4.86601 2.71182 -0.423
C -2.69385 3.42741 3.21641 -0.412
H -4.06940 1.95051 2.32276 0.248
H -4.91315 3.60027 0.91201 0.432
H -3.30361 3.67739 0.33349 0.475
H -4.65379 5.23614 2.54947 0.217
H -3.73768 5.90598 1.18909 0.234
H -2.42356 5.58914 3.51669 0.248
********
(Back to the piece)

Fire sprinklers and home remodel--do I have to put them in the new portions of the building only?

When fire sprinklers are required, the installation must be in the new and existing portions of the building.

Fire sprinklers in my place of business--am I responsible for maintenance or service?

Yes. You are required to provide quarterly maintenance and inspections per the California Health and Safety Code, Title 19, and a complete inspection is required by a licensed C-16 Fire Protection Contractor every five years. Contact Fire Prevention (310) 253-5925 for forms, permit fee information, and testing requirements.

Fire sprinklers--can I install them myself?

Yes. If you can show you have the ability to perform this installation, contact Fire Prevention (310) 253-5925 for more information.

Hazardous material spill--who do I contact?

Hazardous materials--does Culver City have a program?

Yes. You should contact the hazardous materials specialist at (310) 253-5925 to ensure you are in compliance.

Hazardous material--what is it?

A hazardous material is any product that has a warning, danger, or caution sticker on the container and presents a physical or health hazard. Example: I want to open a new plastics business in Culver City; do I need to speak to anyone regarding the chemicals I use? YES! It is best to contact the hazardous materials specialist at (310) 253-5925 prior to signing a lease to ensure that the building can be used for your type of operation.

Home security system--can I connect my smoke detector so it dispatches the fire department?

No. The California Building Code requires that the residential smoke detector is local, for occupant notification only.

You can have a commercial type fire alarm system installed. That system, after review and approval from the fire department, can dispatch for fire response.

How do I get rid of old paint stored in my garage?

Call CleanLA at (888) 253-2652 or visit the Clean LA website for the Household Hazardous Waste Collection Event schedule.

Permit and plan check fees--where do I find the fee schedule?

Check out the City's Fees and Charges Schedule.

Smoke Alarms--how often should I change the batteries?

You should change your batteries twice a year and we recommend you change them each time you set your clocks for standard time and daylight saving time.



2. Emergency Medical Services

I am interested in getting an Emergency Medical Service (EMS) Incident Report--what do I do?

You must present a request for a copy of an EMS report in person to the Culver City Fire Department Administration Office located on the third floor of Culver City City Hall, 9770 Culver Boulevard, Culver City, CA 90232. Due to COVID-19, temporarily, inquiries can be sent via email.

  • Patient Requesting Copy:  Photo identification is required and a waiver must be signed by the patient.
  • Family Member of Deceased Patient Requesting Copy:  Family member can obtain copy of EMS report with proof of death (Death Certificate, photo identification, and a waiver must be signed). 
  • An attorney can obtain a copy with a HIPAA compliant signed release form from the patient or via subpoena.
  • Parent or Guardian Requesting Copy of minor's EMS Report:  A parent or guardian can obtain a copy of a minor's EMS report with child's birth certificate and parent/guardian Identification.
  • The cost of obtaining a copy of the report is $5.00. Please make checks payable to the CITY OF CULVER CITY.

Where can I safely get rid of expired or unwanted medicine?

SAFE Household Hazardous Waste Collection Centers*

Household Hazardous Waste Collection Events*

*Note: It is illegal for household hazardous waste collection centers and events to collect controlled substances. You must take controlled substances to an approved Controlled Substance Public Disposal Location.

Prescription Drug Take Back Day Events

The Police Department, in partnership with the Drug Enforcement Administration, typically hosts a collection event in April and/or October of each year.

Why can't I go to any hospital that I want?

It is the Culver City Fire Department's policy to try, whenever possible, to transport each patient to his or her hospital of choice. However, depending on the severity of a patient's condition, we cannot always spend the additional time it would take to reach a patient’s choice hospital. In addition, mandates require paramedics to take certain types of patients, i.e., serious traffic accidents, to the nearest Trauma Center. Hospitals may also divert paramedics when they are extremely busy to allow for more rapid treatment.

Why do I have to pay for transport to the hospital?

Because not every member of the community utilizes these services equally, it is a way for the city to recover some of the cost associated with the operation of a municipal fire department.

Why does dispatch send a fire truck when I called for paramedics?

Most medical emergencies require multiple personnel to perform the various tasks associated with patient care.



3. Fire Suppression

How do I become a firefighter?

If you have graduated from high school or have your GED, and have participated in Los Angeles or Orange County Fire Chiefs’ Physical Ability Test (CPAT), and positions are available, you may apply by contacting the City’s Human Resources Department. You could also find a local junior college with a fire technology major, or a fire academy, and enroll while waiting for positions to become available.

I am interested in getting a Fire Incident Report--what do I do?

The Culver City Fire Department develops Fire Incident Reports for all fires within the City of Culver City. 

The cost of obtaining a copy of a report is $5.00 payable to the "City of Culver City"

Requests must include your contact information, the fire incident date, location of the file and name of those involved.

Requests can be submitted via email or through U.S. Mail to: 

Culver City Fire Department
9770 Culver Blvd.
Culver City, CA 90232


Is there a difference between a fire truck and a fire engine?

Yes, there is. A fire engine has hose, a water tank, a pump (to pump water) and a small assortment of ladders. A fire truck usually does not have a pump, hose, or water tank, but has a tall ladder fixed to the truck and over 100 feet of portable ladders along with additional equipment. The fire truck is most often thought of the "Hook and Ladder" with a tillerman steering the rear of the trailer section of the ladder.

**What comes next are quantum chemistry results, not part of the piece:**
+++
# 1
ORCA calculation (wB97M-V/def2-TZVPD) on a structure of composition C21H31AuNOP2S at a distorted geometry.

Geometry as ORCA input:
```
! wB97M-V def2-TZVPD RIJCOSX def2/J DEFGRID3
* xyz 1 3
Au -1.03 -0.43 0.53
S 1.48 -0.63 3.90
P -0.27 -2.54 0.28
P -2.79 1.01 0.14
O 2.44 0.22 3.15
N -0.16 0.15 -2.02
C 0.73 2.32 -2.66
C -1.69 2.04 -2.25
C 1.05 -0.44 -2.22
C 0.08 -2.72 -1.52
C -4.30 0.14 0.62
C 3.50 -0.21 -2.58
C 0.32 0.42 4.80
C -1.86 3.38 -2.61
C 1.24 -1.85 -2.00
C 2.52 -2.39 -2.16
C 3.64 -1.59 -2.45
C -2.85 1.21 -1.69
C 2.36 -1.41 5.27
C -0.77 4.20 -2.93
C 2.21 0.39 -2.51
C 1.23 -3.00 1.19
C -2.73 2.65 0.86
C -1.64 -3.65 0.67
C 2.02 1.77 -2.59
C -0.38 1.45 -2.36
C 0.51 3.69 -2.91
H 2.66 -3.47 -2.03
H -2.54 -3.31 0.16
H 1.65 -1.67 6.07
H 0.70 1.45 4.82
H 1.38 4.34 -3.07
H -4.37 0.11 1.71
H -4.28 -0.89 0.26
H 2.88 2.42 -2.58
H 0.20 0.00 5.81
H -0.95 5.25 -3.17
H -2.86 3.80 -2.58
H 2.82 -2.33 4.89
H 4.37 0.44 -2.69
H -1.85 -3.61 1.75
H 1.10 -2.81 2.27
H -1.45 -4.69 0.39
H -3.82 1.68 -1.93
H -1.84 3.17 0.50
H 3.12 -0.72 5.63
H 2.97 2.38 -0.49
H 2.06 -2.36 0.85
H -2.79 0.19 -2.09
H -3.61 3.25 0.60
H 4.63 -2.06 -2.57
H -5.20 0.63 0.23
H 2.46 1.96 -0.18
H -0.62 0.35 4.24
H -2.66 2.57 1.95
H 0.28 -3.78 -1.71
H 1.51 -4.05 1.03
H -0.85 -2.41 -2.01
*
```

Values from the calculation:
Expectation value of S² = 2.04
Largest force on an atom = 2.24 eV/Å
Frontier orbital gap (spin up / spin down) = 6.2 / 5.6 eV

---

# 2
ORCA calculation (wB97M-V/def2-TZVPD) on the ion C5H10NOS with charge -1 at a distorted geometry.

Geometry as ORCA input:
```
! wB97M-V def2-TZVPD RIJCOSX def2/J DEFGRID3
* xyz -1 1
S -2.93 0.98 -0.01
O 0.83 2.04 1.38
N -0.22 -1.01 0.06
C 1.33 -0.34 -1.86
C -0.48 0.04 1.08
C 0.10 1.39 0.67
C 1.15 -0.96 -0.47
C -1.96 0.18 1.36
H 2.13 0.41 -1.87
H -0.87 -0.80 -0.70
H -2.42 -0.76 1.68
H 0.13 -0.30 1.94
H -2.04 0.89 2.18
H 1.42 -2.02 -0.55
H 1.77 -1.04 -2.60
H -0.22 1.84 -0.30
H 0.38 0.07 -2.22
H 1.90 -0.61 0.25
*
```

Values from the calculation:
Largest force on an atom = 1.75 eV/Å
Frontier orbital gap = 6.5 eV

---

# 3
ORCA calculation (wB97M-V/def2-TZVPD) on the molecule C3H3NO3 at a distorted geometry.

Geometry as ORCA input:
```
! wB97M-V def2-TZVPD RIJCOSX def2/J DEFGRID3
* xyz 0 1
O -0.41 1.38 -0.15
O 0.29 -0.70 0.14
O -1.55 -1.80 -0.98
N -1.83 -0.34 -0.76
C 1.20 0.16 0.61
C 0.92 1.40 0.26
C -0.74 0.16 -0.37
H 1.52 2.34 0.23
H -1.39 -2.18 -0.05
H 1.98 -0.41 1.08
*
```

Values from the calculation:
Largest force on an atom = 4.25 eV/Å
Frontier orbital gap = 9.7 eV

---

# 4
ORCA calculation (wB97M-V/def2-TZVPD) on a structure of composition C21H34FNOP2Pt at a distorted geometry.

Geometry as ORCA input:
```
! wB97M-V def2-TZVPD RIJCOSX def2/J DEFGRID3
* xyz 0 5
Pt -0.11 0.21 0.19
P 2.41 -0.28 -0.06
P -2.40 0.20 0.07
F 0.81 4.51 4.57
O -1.85 -2.91 2.15
N 0.39 1.43 -1.26
C 2.78 -1.76 -1.01
C -0.64 -3.18 2.28
C -0.18 4.09 -3.62
C -2.97 1.70 -0.81
C 0.57 3.55 3.61
C -0.19 1.36 3.04
C 0.07 1.27 -3.66
C 0.06 1.98 -4.84
C 0.97 3.82 2.30
+++
**So much for the quantum chemistry results:**

Leaking fire hydrant--what do I do?

Please call Golden State Water for assistance and hydrant service at (800) 999-4033.

What are the qualifications for firefighter?

Each department has slightly different qualifications, but for the Culver City Fire Department you need to have graduated from high school or have a GED and participated in the Los Angeles or Orange County Fire Chiefs’ Physical Ability Test (CPAT). These qualifications may change without notice so it is best to check with the City’s Human Resources Department prior to applying.

When does the department hire firefighters?

The fire department hires additional firefighters when positions become available through retirements or after injuries. There is no specific time of year when positions become available. The best way to check for openings is to visit the Human Resources Department or give them a call at (310) 253-5640 and ask when they anticipate hiring entry-level firefighters.

Why do I always see fire trucks parked at the grocery store?

Because firefighters are required to work a 24-hour tour of duty, they shop for and prepare their meals each day. They do this because it is more convenient when responding to emergency calls.



4. Tours and Public Education

How do I ensure I have installed my child's car seat properly?

Visit the California Highway Patrol (CHP) website for detailed info. If you are not confident on how to properly secure your child in a safety seat, contact your local CHP Office and ask to speak with a passenger safety technician.

Culver City’s Local Office is: 
West Los Angeles CHP (565)
6300 Bristol Parkway
Culver City, CA 90230
Directions to the West Los Angeles CHP Office

(310) 642-3939

Office hours:
Monday – Friday - 8:00 am - 5:00 pm

I would like to host a public education event--what do I do?

Contact the Community Risk Reduction Division at (310) 253-5925.

I would like to schedule a fire station tour--what do I do?

Culver City Fire Station tours are conducted only on Fridays, except the first Friday of the month. Tours are available at 10:30 am or 1:30 pm. Groups of children must have one adult for every six children. Our station tours are designed for schools and organizations within the Culver City. Citizens of Culver City interested in touring the Fire Stations are encouraged to attend our Annual Fire Service Day, an open house event held in May.

Tours are conducted at:

  • Fire Station 1 - Headquarters, 9600 Culver Boulevard
  • Fire Station 2 - 11252 Washington Boulevard
  • Fire Station 3 - 6030 Bristol Parkway

Submit a tour request

Where can I learn CPR?

Periodically, the Department hosts Hands-Only CPR events. You can like us on Facebook and follow us on Twitter to keep up-to-date on upcoming events.

The American Heart Association and the American Red Cross offer CPR Certification Courses.